(Activity)
What is needed: find the line below that holds "0.7039", then print that line and all lines after it there.
(Contents)
-- begin --
For SrCo2As2O8, a GGA+U-relaxed structure gives the computed powder diffractogram in this record (Cu Kα X-rays).
Kinematic intensities with the Lorentz-polarization factor, no thermal factor.

The 10 most intense peaks (2θ = 10–90°), by angle:
| 2theta | intensity | index |
| --- | --- | --- |
| 26.72 | 100 | 0 2 0 |
| 27.03 | 21 | -1 1 2 |
| 28.76 | 22 | 1 -1 2 |
| 29.88 | 65 | 1 1 -3 |
| 30.22 | 21 | 1 1 1 |
| 31.11 | 32 | 1 0 2 |
| 31.64 | 40 | 2 0 -1 |
| 32.34 | 28 | -2 1 1 |
| 32.47 | 40 | 1 -2 2 |
| 44.99 | 27 | 1 3 -3 |

Crystal structure
```
SrCo2As2O8
1.0
5.7311 0.0000 0.0000
-1.1239 7.1399 0.0000
-2.7325 -3.2626 8.5628
Sr Co As O
2 4 4 16
direct
0.1984 0.2471 0.4509 Sr
0.8016 0.7529 0.5491 Sr
0.0821 0.8028 0.9428 Co
0.3221 0.2248 0.8442 Co
0.6779 0.7752 0.1558 Co
0.9179 0.1972 0.0572 Co
0.1548 0.6793 0.2578 As
0.4555 0.7786 0.7997 As
0.5445 0.2214 0.2003 As
0.8452 0.3207 0.7422 As
0.0458 0.3176 0.9177 O
0.0463 0.8392 0.3824 O
0.0959 0.4426 0.2628 O
0.2362 0.9240 0.7982 O
0.2365 0.0740 0.1329 O
0.3861 0.6238 0.6140 O
0.4107 0.6786 0.9381 O
0.4728 0.7690 0.2961 O
0.5272 0.2310 0.7039 O
0.5893 0.3214 0.0619 O
0.6139 0.3762 0.3860 O
0.7635 0.9260 0.8671 O
0.7638 0.0760 0.2018 O
0.9041 0.5574 0.7372 O
0.9537 0.1608 0.6176 O
0.9542 0.6824 0.0823 O
```


Starting from a crystal structure in the Materials Project, relaxed with GGA+U, the powder X-ray diffraction pattern of SrTbEuNiO6 was computed for a wavelength of 1.5418 Å.
Peak positions follow from Bragg's law for the DFT cell and can differ from measured ones.

Structural model:
a b c (Å): 5.709 5.709 5.709
angles (deg): 60.00 60.00 60.00
Sites, in units of the cell vectors:
Sr1 0.000 0.000 0.000
Tb1 0.250 0.250 0.250
Eu1 0.500 0.500 0.500
Ni1 0.750 0.750 0.750
O1 0.520 0.520 0.980
O2 0.520 0.980 0.520
O3 0.520 0.980 0.980
O4 0.980 0.520 0.520
O5 0.980 0.520 0.980
O6 0.980 0.980 0.520

Top 10 peaks for 10° ≤ 2θ ≤ 90°, sorted by position:
| d_spacing | 2θ/deg | intensity |
| --- | --- | --- |
| 4.661 | 19.04 | 11.9 |
| 2.854 | 31.34 | 100.0 |
| 2.434 | 36.93 | 9.2 |
| 2.018 | 44.91 | 30.1 |
| 1.852 | 49.19 | 5.1 |
| 1.648 | 55.78 | 38.9 |
| 1.554 | 59.49 | 2.8 |
| 1.427 | 65.39 | 18.1 |
| 1.277 | 74.30 | 17.5 |
| 1.165 | 82.83 | 6.0 |

=====

Starting from a crystal structure in the Materials Project, relaxed with GGA+U, the powder X-ray diffraction pattern of MgFe6O9F3 was computed for a wavelength of 1.5418 Å.
Peak positions follow from Bragg's law for the DFT cell and can differ from measured ones.

Structural model:
a b c (Å): 5.715 5.878 7.177
angles (deg): 70.81 73.75 80.70
Sites, in units of the cell vectors:
Mg1 0.000 0.000 0.000
Fe1 0.315 0.815 0.662
Fe2 0.389 0.749 0.186
Fe3 0.606 0.184 0.837
Fe4 0.639 0.160 0.355
Fe5 0.922 0.560 0.506
Fe6 0.952 0.518 0.005
O1 0.055 0.650 0.198
O2 0.231 0.691 0.472
O3 0.375 0.953 0.887
O4 0.611 0.021 0.121
O5 0.621 0.485 0.166
O6 0.663 0.821 0.521
O7 0.708 0.295 0.551
O8 0.889 0.349 0.816
O9 0.972 0.829 0.813
F1 0.010 0.166 0.194
F2 0.286 0.160 0.487
F3 0.338 0.464 0.865

Top 10 peaks for 10° ≤ 2θ ≤ 90°, sorted by position:
| d_spacing | 2θ/deg | intensity |
| --- | --- | --- |
| 3.749 | 23.73 | 100.0 |
| 3.269 | 27.28 | 95.4 |
| 2.553 | 35.15 | 50.2 |
| 2.531 | 35.47 | 28.0 |
| 2.518 | 35.65 | 54.5 |
| 1.823 | 50.03 | 21.9 |
| 1.810 | 50.43 | 18.5 |
| 1.699 | 53.97 | 19.4 |
| 1.692 | 54.22 | 18.6 |
| 1.480 | 62.77 | 18.0 |


YHoCl6: theoretical X-ray powder pattern (Cu Kα (weighted mean of Kα1 and Kα2)), based on a cell relaxed with GGA-PBE.
Lines closer than 0.1° are merged.

Largest 10 diffraction maxima, low angle first, 15° ≤ 2θ ≤ 90°:
- 15.77 deg, rel. 46
- 17.90 deg, rel. 32
- 21.05 deg, rel. 19
- 26.52 deg, rel. 51
- 32.87 deg, rel. 100
- 36.18 deg, rel. 19
- 44.02 deg, rel. 15
- 45.95 deg, rel. 35
- 48.32 deg, rel. 21
- 48.48 deg, rel. 24

Structure:
```
data_YHoCl6
_chemical_formula_sum 'Y1 Ho1 Cl6'
_cell_length_a 6.847
_cell_length_b 6.847
_cell_length_c 6.433
_cell_angle_alpha 100.28
_cell_angle_beta 100.28
-- stop --
(Solution)
0.5272 0.2310 0.7039 O
0.5893 0.3214 0.0619 O
0.6139 0.3762 0.3860 O
0.7635 0.9260 0.8671 O
0.7638 0.0760 0.2018 O
0.9041 0.5574 0.7372 O
0.9537 0.1608 0.6176 O
0.9542 0.6824 0.0823 O
```


Starting from a crystal structure in the Materials Project, relaxed with GGA+U, the powder X-ray diffraction pattern of SrTbEuNiO6 was computed for a wavelength of 1.5418 Å.
Peak positions follow from Bragg's law for the DFT cell and can differ from measured ones.

Structural model:
a b c (Å): 5.709 5.709 5.709
angles (deg): 60.00 60.00 60.00
Sites, in units of the cell vectors:
Sr1 0.000 0.000 0.000
Tb1 0.250 0.250 0.250
Eu1 0.500 0.500 0.500
Ni1 0.750 0.750 0.750
O1 0.520 0.520 0.980
O2 0.520 0.980 0.520
O3 0.520 0.980 0.980
O4 0.980 0.520 0.520
O5 0.980 0.520 0.980
O6 0.980 0.980 0.520

Top 10 peaks for 10° ≤ 2θ ≤ 90°, sorted by position:
| d_spacing | 2θ/deg | intensity |
| --- | --- | --- |
| 4.661 | 19.04 | 11.9 |
| 2.854 | 31.34 | 100.0 |
| 2.434 | 36.93 | 9.2 |
| 2.018 | 44.91 | 30.1 |
| 1.852 | 49.19 | 5.1 |
| 1.648 | 55.78 | 38.9 |
| 1.554 | 59.49 | 2.8 |
| 1.427 | 65.39 | 18.1 |
| 1.277 | 74.30 | 17.5 |
| 1.165 | 82.83 | 6.0 |

=====

Starting from a crystal structure in the Materials Project, relaxed with GGA+U, the powder X-ray diffraction pattern of MgFe6O9F3 was computed for a wavelength of 1.5418 Å.
Peak positions follow from Bragg's law for the DFT cell and can differ from measured ones.

Structural model:
a b c (Å): 5.715 5.878 7.177
angles (deg): 70.81 73.75 80.70
Sites, in units of the cell vectors:
Mg1 0.000 0.000 0.000
Fe1 0.315 0.815 0.662
Fe2 0.389 0.749 0.186
Fe3 0.606 0.184 0.837
Fe4 0.639 0.160 0.355
Fe5 0.922 0.560 0.506
Fe6 0.952 0.518 0.005
O1 0.055 0.650 0.198
O2 0.231 0.691 0.472
O3 0.375 0.953 0.887
O4 0.611 0.021 0.121
O5 0.621 0.485 0.166
O6 0.663 0.821 0.521
O7 0.708 0.295 0.551
O8 0.889 0.349 0.816
O9 0.972 0.829 0.813
F1 0.010 0.166 0.194
F2 0.286 0.160 0.487
F3 0.338 0.464 0.865

Top 10 peaks for 10° ≤ 2θ ≤ 90°, sorted by position:
| d_spacing | 2θ/deg | intensity |
| --- | --- | --- |
| 3.749 | 23.73 | 100.0 |
| 3.269 | 27.28 | 95.4 |
| 2.553 | 35.15 | 50.2 |
| 2.531 | 35.47 | 28.0 |
| 2.518 | 35.65 | 54.5 |
| 1.823 | 50.03 | 21.9 |
| 1.810 | 50.43 | 18.5 |
| 1.699 | 53.97 | 19.4 |
| 1.692 | 54.22 | 18.6 |
| 1.480 | 62.77 | 18.0 |


YHoCl6: theoretical X-ray powder pattern (Cu Kα (weighted mean of Kα1 and Kα2)), based on a cell relaxed with GGA-PBE.
Lines closer than 0.1° are merged.

Largest 10 diffraction maxima, low angle first, 15° ≤ 2θ ≤ 90°:
- 15.77 deg, rel. 46
- 17.90 deg, rel. 32
- 21.05 deg, rel. 19
- 26.52 deg, rel. 51
- 32.87 deg, rel. 100
- 36.18 deg, rel. 19
- 44.02 deg, rel. 15
- 45.95 deg, rel. 35
- 48.32 deg, rel. 21
- 48.48 deg, rel. 24

Structure:
```
data_YHoCl6
_chemical_formula_sum 'Y1 Ho1 Cl6'
_cell_length_a 6.847
_cell_length_b 6.847
_cell_length_c 6.433
_cell_angle_alpha 100.28
_cell_angle_beta 100.28